MojeID nově podporuje klíče Yubico
China: “Remove all VPNs”
# Misplaced calculated molecules
<<<
108
Properties=species:S:1:pos:R:3:forces:R:3:lowdin_charge:R:1 method="wB97M-V/def2-TZVPD" lumo_ev=-4.247 charge=+1 homo_ev=-10.63 homo_lumo_gap_ev=6.38 e_tot_ev=-130727.81450
C -5.170196 2.643189 -2.247741 0.32 0.12 -0.24 0.130
C -4.183784 1.995032 -2.467761 -0.01 -0.09 -0.22 -0.136
C -2.941377 1.269897 -2.750523 0.16 -0.01 0.45 -0.199
C -2.482279 0.383723 -1.541575 -1.08 0.66 -0.77 -0.245
C -0.954909 0.356053 -1.509484 -0.10 -0.01 0.12 -0.155
C -0.061594 -0.767428 -0.911641 0.44 -0.13 0.09 -0.184
C -0.457779 -2.258045 -1.196870 0.43 0.00 -2.02 -0.492
C 0.747063 -3.050838 -1.817259 -0.33 -0.66 0.80 0.017
N -1.530031 -2.303354 -2.186610 0.04 -0.24 0.42 0.083
N -0.938297 -2.991302 0.033576 -0.88 -0.01 0.39 -0.379
Br -2.556750 -2.069491 0.595393 0.23 -0.06 0.07 1.138
C -1.394093 -4.412052 -0.233230 -0.75 -0.91 -0.30 -0.191
C -1.474239 -5.383073 0.946065 0.12 0.19 0.20 -0.150
C -2.394884 -5.083484 2.134433 0.25 -0.24 0.58 -0.267
O -2.104995 -6.017162 3.178283 -0.21 0.16 -0.44 -0.049
C 0.106473 -2.970639 1.088769 1.21 -0.21 0.43 -0.127
C 1.118549 -1.820297 1.037943 0.30 0.80 -0.37 -0.308
N 1.839688 -1.683707 2.318844 -0.35 -1.28 -0.18 0.003
C 3.182513 -2.312729 2.274494 -0.19 0.36 0.90 -0.209
C 3.661825 -2.683593 3.685471 0.68 -0.21 -0.66 -0.194
C 5.168386 -3.006743 3.623804 -0.39 -0.50 -0.44 -0.242
C 5.464322 -4.261302 2.767130 0.17 0.27 -0.09 -0.106
C 0.591869 -0.460514 0.495056 -0.37 -0.90 0.45 -0.361
N 1.811992 0.324908 0.335113 -0.20 0.31 -0.16 -0.025
C 1.891916 1.399964 -0.621250 0.28 0.72 -0.23 -0.224
C 1.388000 2.778752 -0.164993 0.29 0.17 -0.74 -0.189
C 1.426869 3.778976 -1.356286 -0.76 0.04 0.65 -0.233
C 0.142004 4.632228 -1.422182 0.38 -0.10 0.08 -0.100
Si -0.395936 0.356005 1.970871 0.33 1.02 0.89 0.594
C -1.010355 -0.810074 3.345795 -0.04 0.06 -0.16 -0.197
C -1.867100 1.466814 1.566241 -0.07 -0.40 0.30 -0.178
C 0.778845 1.483553 2.945878 -0.30 -0.22 0.12 -0.169
H -5.952815 3.363345 -2.165977 -0.08 -0.24 0.19 0.005
H -3.038913 0.661912 -3.652735 -0.09 -0.02 0.00 0.115
H -2.167698 2.009376 -2.975745 -0.02 0.08 0.05 0.111
H -2.992114 -0.562992 -1.682017 0.34 -0.14 0.12 0.053
H -2.958182 0.857690 -0.686939 0.46 -0.13 0.28 0.068
H -0.640483 1.273429 -1.008714 -0.03 -0.04 -0.02 0.088
H -0.620070 0.518172 -2.540444 0.00 -0.22 -0.05 0.117
H 0.834220 -0.708666 -1.532952 -0.05 0.10 0.00 0.119
H 1.449390 -3.436763 -1.075364 0.23 0.33 -0.20 0.085
H 0.386937 -3.938512 -2.339917 -0.10 0.11 -0.06 0.081
H 1.245607 -2.439164 -2.560481 0.10 0.16 0.14 0.105
H -1.272082 -1.723558 -2.975222 -0.12 0.24 0.06 0.113
H -1.642644 -3.238318 -2.560436 0.08 -0.05 -0.04 0.091
H -2.379224 -4.354553 -0.691791 -0.01 0.27 0.02 0.108
H -0.770021 -4.885289 -0.991379 0.42 0.39 0.18 0.125
H -1.808706 -6.327135 0.511453 -0.01 0.02 -0.08 0.136
H -0.483628 -5.611004 1.345559 0.04 0.13 -0.03 0.114
H -3.445053 -5.219633 1.883264 -0.02 0.05 -0.12 0.128
H -2.278253 -4.078651 2.546747 -0.02 0.09 -0.25 0.069
H -1.349339 -5.670897 3.657456 0.09 -0.14 0.22 0.086
>>>
Apple: “Sure thing”
China: “…and podcast apps”
Apple: “Can do boss!”
China: “…and also hand over all iCloud data for our citizens”
Apple: “I mean why wouldn’t we? Here you go!”
EU: “Allow alternate app stores, and do it fairly”
Apple: “Ahhh hell no! This is so unfair you guys are bullies! Malware! Privacy! We have standards! Unlike you we care about our users!”
Odinstalujte vše, co máte od původních Simple Mobiles - kalendář, galerii, budík, kontakty...
To si takhle Izraelci koupili od Slováka firmu a aplikace vybavili reklamou a trackery.
Takže znovu, vše odinstalovat a najít alternativu, nejlépe na @fdroidorg.
Smutné čtení zde:
Důkaz zde:
Odemykáme vám další zápisky solárníka. Tentokrát se věnují tipům, jak předejít zklamání z domácí #fotovoltaika.
It's been 21 years and 29 days since Tor Books published my first novel, *Down and Out in the Magic Kingdom*. In the years since, Tor has published every one of my novels, sending me around the USA and Canada to talk about them. Now, they've teamed up with @humblebundles to sell 18 of my ebooks on a name-your-price basis, with part of the proceeds going to benefit @eff:
I released a new synthwave/chiptune influenced album this week and today is Bandcamp friday... so if you've thought of picking it up, now is a very good time... *wink wink, nudge nudge*.
There's an aesthetic that comes with the cyberpunk thing. However, I don't think anyone ACTUALLY wants to live there.
Let's be real, that's a future a lot of us are actively fighting against.
When I was a kid I thought the future was flying cars, now I think the future should be ethically built bicycles. Solar panels and compressed air batteries. High speed rail so good it puts commercial airlines out of business.
We have all these tools already, we've just made a decision not to use them.
Některá překvapivá fakta z fyziky:
1. Gravitace se šíří rychlostí světla.
2. Čas se zastavuje při rychlosti světla a uvnitř černých děr.
3. 96 % vesmíru tvoří něco, čemu nerozumíme.
4. Atom je z 99,9999999999996 % prázdný prostor.
5. Protože se elektrony odpuzují, nikdy se ničeho nedotknou.
6. Světlo se ohýbá za přítomnosti gravitace.
7. Minulost, přítomnost a budoucnost je jen iluze. Čas je relativní.
8. Pozorování může ovlivnit realitu (podle kvantové fyziky).
i think the EU should pass legislation that enforces standards based 2factor auth (like totp/hotp) for banks, health insurance etc. it is absolutely unacceptable that people are _forced_ to buy android/ios smartphones to use critical services
A must-read article about inefficiency of modern #software
"I’ve been programming for 15 years now. Recently, our industry’s lack of care for efficiency, simplicity, and excellence started really getting to me, to the point of me getting depressed by my own career and IT in general."
#IT #endtimes #programming #webdev
Může mi někdo vysvětlit proč normy ČSN:
- nejsou zdarma, když jsou závazný,
- vyžadujou pro otevření Adobe Acrobat, nejhorší PDF prohlížeč na světě,
- neobsahujou změny a opravy a člověk si je musí projít v samostatnejch souborech?
To je fakt k vzteku.
Heya! 👻 I'm working on a horror game called Devil's Hideout.
Wishlist on Steam & play the demo 👇
#ScreenshotSaturday #Horror #HorrorGames #retrogaming #retro #adventuregame #indiegame #indiedev #pixelart #pointandclick #gamedev #indiegamedev